Repeat only the lines underneath with the word "Largest" in them.
┌──
Structure and computed powder X-ray diffraction pattern of La7Bi4H4 (a structure optimized by DFT (GGA-PBE); Cu Kα).

Largest 6 diffraction maxima, low angle first, 2θ from 10° to 90°:
24.0°, I = 16; 27.4°, I = 37; 31.5°, I = 100; 32.8°, I = 25; 34.2°, I = 19; 51.1°, I = 26

Structure:
```
La7Bi4H4
1.0
-7.8765 7.8765 3.2582
7.8765 -7.8765 3.2582
7.8765 7.8765 -3.2582
La Bi H
14 8 8
direct
0.0000 0.2872 0.2872 La
0.0000 0.7128 0.7128 La
0.1032 0.5000 0.6032 La
0.2497 0.2497 0.0000 La
0.2872 0.0000 0.2872 La
0.2986 0.2986 0.5973 La
0.2986 0.7014 0.0000 La
0.5000 0.1032 0.6032 La
0.5000 0.8968 0.3968 La
0.7014 0.2986 0.0000 La
0.7014 0.7014 0.4027 La
0.7128 0.0000 0.7128 La
0.7503 0.7503 0.0000 La
0.8968 0.5000 0.3968 La
0.1483 0.1483 0.2967 Bi
0.1483 0.8517 0.0000 Bi
0.3073 0.5000 0.8073 Bi
0.5000 0.3073 0.8073 Bi
0.5000 0.6927 0.1927 Bi
0.6927 0.5000 0.1927 Bi
0.8517 0.1483 0.0000 Bi
0.8517 0.8517 0.7033 Bi
0.1323 0.6323 0.2646 H
0.1323 0.8677 0.5000 H
0.3677 0.6323 0.5000 H
0.3677 0.8677 0.7354 H
0.6323 0.1323 0.2646 H
0.6323 0.3677 0.5000 H
0.8677 0.1323 0.5000 H
0.8677 0.3677 0.7354 H
```


Structure and computed powder X-ray diffraction pattern of La3BiH3 (a structure optimized by DFT (GGA-PBE); Cu Kα).

Largest 6 diffraction maxima, low angle first, 2θ from 10° to 90°:
26.7°, I = 42; 29.9°, I = 79; 32.8°, I = 100; 49.2°, I = 20; 51.2°, I = 58; 55.0°, I = 19

Structure:
```
La3BiH3
1.0
6.6807 0.0000 0.0000
0.0000 6.6807 0.0000
0.0000 0.0000 6.6807
La Bi H
6 2 6
direct
0.0000 0.2500 0.5000 La
0.0000 0.7500 0.5000 La
0.2500 0.5000 0.0000 La
0.5000 0.0000 0.2500 La
0.5000 0.0000 0.7500 La
0.7500 0.5000 0.0000 La
0.0000 0.0000 0.0000 Bi
0.5000 0.5000 0.5000 Bi
0.0000 0.5000 0.2500 H
0.0000 0.5000 0.7500 H
0.2500 0.0000 0.5000 H
0.5000 0.2500 0.0000 H
0.5000 0.7500 0.0000 H
0.7500 0.0000 0.5000 H
```

* * * * *

Computed X-ray diffraction stick pattern
Compound: Pr4Y3Er4
Radiation: copper Kα
Structure: a PBE-relaxed structure
Intensities are scaled so that the largest is 100.

Cell and atoms:
Cell lengths 3.5570, 5.6451, 18.3601 Å; angles 81.17, 84.45, 90.00 degrees
Space group P-1 (No. 2)
One atom of each set of equivalent atoms:
Pr  0.0461  0.0471  0.4076 (multiplicity 2)
Pr  0.1800  0.6806  0.1392 (multiplicity 2)
Y  0.3628  0.8622  0.7750 (multiplicity 2)
Y  0.5000  0.5000  0.5000 (multiplicity 1)
Er  0.0909  0.5922  0.3174 (multiplicity 2)
Er  0.2338  0.2337  0.0327 (multiplicity 2)

Main lines, sorted by position (10° ≤ 2θ ≤ 90°):
hkl  Position (°2θ)  intensity
1 0 0  25.16  20
1 0 4  30.53  36
1 1 3  31.33  85
0 1 6  31.53  100
0 2 1  31.70  52
1 -1 5  38.96  19
1 -2 3  44.59  25
0 3 7  56.36  19
1 2 9  56.51  17
2 1 7  61.54  29

---

Computed X-ray diffraction stick pattern
Compound: Pr2Y6Er3
Radiation: copper Kα
Structure: a PBE-relaxed structure
Intensities are scaled so that the largest is 100.

Cell and atoms:
Cell lengths 4.7457, 4.7457, 33.5861 Å; angles 90.00, 90.00, 90.00 degrees
Space group I4/mmm (No. 139)
One atom of each set of equivalent atoms:
Pr  0.0000  0.0000  0.0457 (multiplicity 4)
Y  0.0000  0.0000  0.1985 (multiplicity 4)
Y  0.0000  0.5000  0.1225 (multiplicity 8)
Er  0.0000  0.0000  0.3006 (multiplicity 4)
Er  0.0000  0.0000  0.5000 (multiplicity 2)

Main lines, sorted by position (10° ≤ 2θ ≤ 90°):
hkl  Position (°2θ)  intensity
1 1 0  26.56  44
1 1 4  28.65  100
1 0 9  30.47  28
1 1 8  34.21  65
1 0 11  34.94  23
2 0 0  37.92  75
2 0 12  50.42  24
2 2 0  54.70  25
1 1 20  61.79  39
3 1 20  87.10  25

---

Computed X-ray diffraction stick pattern
Compound: Pr3YEr7
Radiation: copper Kα
Structure: a PBE-relaxed structure
Intensities are scaled so that the largest is 100.

Cell and atoms:
Cell lengths 5.8382, 11.1919, 11.2086 Å; angles 90.00, 90.00, 90.00 degrees
Space group Immm (No. 71)
One atom of each set of equivalent atoms:
Pr  0.0000  0.0000  0.0000 (multiplicity 2)
Pr  0.0000  0.2858  0.5000 (multiplicity 4)
Y  0.0000  0.5000  0.0000 (multiplicity 2)
└──
Largest 6 diffraction maxima, low angle first, 2θ from 10° to 90°:
Largest 6 diffraction maxima, low angle first, 2θ from 10° to 90°: